Contents:
1.
Structure and theoretical powder diffraction line list of SmEr7Al4 (a DFT-relaxed cell (PBE, Alexandria); λ = 1.5418 Å (Cu Kα)).
Intensities are scaled so that the largest is 100.

Cell and atoms:
```
SmEr7Al4
1.0
6.8934 -2.7297 0.0000
6.8934 2.7297 0.0000
-5.8882 0.0000 8.5345
Sm Er Al
1 7 4
Direct
0.0000 0.0000 0.0000
0.0658 0.0658 0.3907
0.2137 0.2137 0.8764
0.2990 0.2990 0.3566
0.5000 0.5000 0.0000
0.7010 0.7010 0.6434
0.7863 0.7863 0.1236
0.9342 0.9342 0.6093
0.3227 0.3227 0.6678
0.4449 0.4449 0.2359
0.5551 0.5551 0.7641
0.6773 0.6773 0.3322
```

Main lines, by angle (2θ = 15–90°):
24.01 deg, rel. 74
26.91 deg, rel. 76
29.22 deg, rel. 56
30.94 deg, rel. 83
31.17 deg, rel. 75
31.49 deg, rel. 39
32.81 deg, rel. 100
35.02 deg, rel. 43
38.48 deg, rel. 45
42.92 deg, rel. 46

2.
Structure and theoretical powder diffraction line list of Sm2ErAl3 (a DFT-relaxed cell (PBE, Alexandria); λ = 1.5418 Å (Cu Kα)).
Intensities are scaled so that the largest is 100.

Cell and atoms:
```
Sm2ErAl3
1.0
3.6262 0.0000 0.0000
0.0000 3.6262 0.0000
0.0000 0.0000 11.0186
Sm Er Al
2 1 3
Direct
0.0000 0.0000 0.1712
0.0000 0.0000 0.8288
0.0000 0.0000 0.5000
0.5000 0.5000 0.0000
0.5000 0.5000 0.3440
0.5000 0.5000 0.6560
```

Main lines, by angle (2θ = 15–90°):
24.23 deg, rel. 31
24.55 deg, rel. 60
34.77 deg, rel. 100
34.99 deg, rel. 50
43.02 deg, rel. 28
50.33 deg, rel. 18
56.14 deg, rel. 13
56.61 deg, rel. 12
62.18 deg, rel. 18
62.62 deg, rel. 36

3.
Structure and theoretical powder diffraction line list of SmEr7Al5 (a DFT-relaxed cell (PBE, Alexandria); λ = 1.5418 Å (Cu Kα)).
Intensities are scaled so that the largest is 100.

Cell and atoms:
```
SmEr7Al5
1.0
-3.0331 5.0881 5.3385
3.0331 -5.0881 5.3385
3.0331 5.0881 -5.3385
Sm Er Al
1 7 5
Direct
0.0000 0.0000 0.0000
0.2003 0.5056 0.6947
0.2419 0.7419 0.5000
0.3484 0.3484 0.0000
0.3582 0.0199 0.3383
0.6714 0.6714 0.0000
0.6816 0.0199 0.6617
0.8109 0.5056 0.3053
0.0078 0.0153 0.4900
0.0078 0.5178 0.9924
0.5253 0.0153 0.0076
0.5253 0.5178 0.5100
0.7742 0.2742 0.5000
```

Main lines, by angle (2θ = 15–90°):
24.16 deg, rel. 44
29.09 deg, rel. 40
29.45 deg, rel. 89
30.19 deg, rel. 91
33.57 deg, rel. 32
34.11 deg, rel. 68
34.65 deg, rel. 100
37.87 deg, rel. 32
38.45 deg, rel. 56
60.71 deg, rel. 59

4.
Structure and theoretical powder diffraction line list of SmEr2Al2 (a DFT-relaxed cell (PBE, Alexandria); λ = 1.5418 Å (Cu Kα)).
Intensities are scaled so that the largest is 100.

Cell and atoms:
```
SmEr2Al2
1.0
3.6283 0.0000 0.0000
0.0000 5.1784 0.0000
-1.8151 0.0000 13.4171
Sm Er Al
2 4 4
Direct
0.1440 0.2500 0.2901
0.8560 0.7500 0.7099
0.0468 0.7500 0.0939
0.2327 0.7500 0.4663
0.7673 0.2500 0.5337
0.9532 0.2500 0.9061
0.3600 0.2500 0.7188
0.4523 0.7500 0.9047
0.5477 0.2500 0.0953
0.6400 0.7500 0.2812
```

Main lines, by angle (2θ = 15–90°):
24.76 deg, rel. 23
26.33 deg, rel. 40
33.39 deg, rel. 20
34.50 deg, rel. 100
34.64 deg, rel. 27
43.05 deg, rel. 11
44.77 deg, rel. 14
48.88 deg, rel. 14
57.80 deg, rel. 21
62.00 deg, rel. 18

5.
Structure and theoretical powder diffraction line list of TbSmErAl (a DFT-relaxed cell (PBE, Alexandria); λ = 1.5418 Å (Cu Kα)).
Intensities are scaled so that the largest is 100.

Cell and atoms:
```
TbSmErAl
1.0
3.5179 0.0000 0.0000
0.0000 3.5179 0.0000
0.0000 0.0000 9.0648
Tb Sm Er Al
1 1 1 1
Direct
0.0000 0.0000 0.0000
0.5000 0.5000 0.2925
0.0000 0.0000 0.5778
0.5000 0.5000 0.7857
```

Main lines, by angle (2θ = 15–90°):
27.19 deg, rel. 29
29.56 deg, rel. 17
32.21 deg, rel. 100
36.11 deg, rel. 43
47.33 deg, rel. 19
51.99 deg, rel. 15
54.80 deg, rel. 13
57.16 deg, rel. 17
62.49 deg, rel. 30
80.90 deg, rel. 12

6.
Structure and theoretical powder diffraction line list of SmErThAl (a DFT-relaxed cell (PBE, Alexandria); λ = 1.5418 Å (Cu Kα)).
Intensities are scaled so that the largest is 100.

Cell and atoms:
```
SmErThAl
1.0
7.6409 0.0000 0.0000
0.0000 7.6409 0.0000
0.0000 0.0000 7.6409
Sm Er Th Al
4 4 4 4
Direct
0.0000 0.0000 0.0000
0.0000 0.5000 0.5000

Wanted:
Search the material further up for the word "SmEr7Al5" and return each line that has it, please.

Here it is:
Structure and theoretical powder diffraction line list of SmEr7Al5 (a DFT-relaxed cell (PBE, Alexandria); λ = 1.5418 Å (Cu Kα)).
SmEr7Al5